- Histologically, this tumor is composed of smooth muscle and fibrous connective tissue, so named as uterine leiomyoma, myoma or fibromyoma.
- It has been estimated that at least 20 percent of women at the age of 30 have got fibroid in their wombs.
- A high incidence of 10 percent prevails in England. Additionally, In colored races (black women), the incidence is even higher. [1]

Uterine Fibroid
Uterine Fibroid is the commonest benign tumour of the uterus and also the commonest benign solid tumour in female. Histologically, this tumour is composed of smooth muscle and fibrous connective tissue, so named as uterine leiomyoma, myoma or fibromyoma.[1
- Chromosomal abnormality
- Epidermal growth factor, Insulin-like growth factor-1, Transforming growth factor, Stimulate the growth of leiomyoma either directly or via estrogen
- positive family history
- Estrogen and progesterone are incriminated as the cause [1]
Risk Factors
Increased risk i.e.
- Nulliparity
- Obesity
- Hyper estrogenic state
- Black women
Reduced risk i.e.
- Multiparity
- Smoking [1]
- Genetic predisposition
- Menstrual cycle–related mitotic dysregulation
- Myometrial cell phenotype transformation in response to ischemia
- An inherent myometrial predisposition to fibroid formation. [4]
- Body
- Interstitial or intramural (75%)
- Sub peritoneal or subserous (15%)- Subserous fibroid, Broad ligament, Wandering
- Submucous (5%)- Pedunculated, Sessile
Cervical e.g.–
- Anterior
- Posterior
- Lateral
- Central
Pseudo cervical fibroid [1]
Sign & Symptoms
Menstrual problems
- Menorrhagia
- Dysmenorrhea
Abdominal discomfort
- Feelings of pressure
Abdominal distension
Urinary problems
- Frequency of micturition
- Urinary retention
Bowel problems
Subfertility i.e.
- Difficulty in conceiving
- Pregnancy loss
- Intrapartum bleeding (particularly Caesarian section) [3]
A hemoglobin concentration i.e.:
- In brief, It will help to indicate anaemia if there is clinically significant menorrhagia.
Ultrasonography i.e.:
- Generally, It is the mainstay of diagnosis to distinguish between a fibroid and an ovarian mass.
- Furthermore, In the presence of large fibroids, ultrasonography is helpful to exclude hydronephrosis from pressure on the ureters. [2]
Saline Infusion Sonography (SIS)
Magnetic resonance imaging (MRI)
Uterine curettage [1]
- Ultrasonography is very useful as a first line, unless the uterus is either very large or distorted leading to difficulty in visualizing the ovaries.
- Under these circumstances an MRI scan can give excellent visualization of the uterus and ovaries.
- In addition, enhancement with gadolinium gives an indication of the vascularity of the uterus.
- Biopsy of the fibroid is not commonly undertaken. [3]
Differential Diagnosis
Differential Diagnosis i.e.:
- Pregnancy
- Full bladder
- Adenomyosis
- Myohyperplasia
- Ovarian tumor
- TO mass [1]
Drugs used to minimise blood loss i.e.:
- Antiprogesterones (Mifepristone)
- Danazol
- GnRH analogs: e.g.Agonists, Antagonists
- Prostaglandin synthetase inhibitors
== Attached: calculated crystals ==
____________
# 1
An optimized crystal structure of Sm5DySb5, computed with GGA-PBE.

a = 6.2535 Å, b = 7.6399 Å, c = 8.8224 Å
α = 106.89°, β = 90.00°, γ = 114.16°
Fractional coordinates of all 11 atoms:
Sm  0.6691  0.3381  0.3331
Sm  0.6649  0.3298  0.8315
Sm  0.0000  0.0000  0.5000
Sm  0.3351  0.6702  0.1685
Sm  0.3309  0.6619  0.6669
Dy  0.0000  0.0000  0.0000
Sb  0.8335  0.6669  0.1654
Sb  0.8347  0.6693  0.6678
Sb  0.5000  0.0000  0.0000
Sb  0.1653  0.3307  0.3322
Sb  0.1665  0.3331  0.8346

Output
* energy relative to the elements, uncorrected: -981 meV per atom
* symmetry: No. 12

***

# 2
An optimized crystal structure of Sm2Ho2Er2Tm, computed with GGA-PBE.

a = 3.4947 Å, b = 6.0663 Å, c = 11.7119 Å
α = 71.55°, β = 90.00°, γ = 106.74°
Fractional coordinates of all 7 atoms:
Sm  0.6711  0.3422  0.9150
Sm  0.3289  0.6578  0.0850
Ho  0.4495  0.8990  0.7690
Ho  0.5505  0.1010  0.2310
Er  0.7736  0.5471  0.3636
Er  0.2264  0.4529  0.6364
Tm  0.0000  0.0000  0.5000

Output
* ΔE_f: 8.47 kJ per mole of atoms
* symmetry: No. 12

***

# 3
An optimized crystal structure of Cr2H2Pb, computed with GGA-PBE.

a = 3.0864 Å, b = 3.0864 Å, c = 6.0410 Å
α = 75.20°, β = 75.20°, γ = 90.00°
Fractional coordinates of all 5 atoms:
Pb  0.0000  0.0000  0.0000
Cr  0.3231  0.3231  0.3537
Cr  0.6769  0.6769  0.6463
H  0.7500  0.2500  0.5000
H  0.2500  0.7500  0.5000

Output
* symmetry: No. 139

***

# 4
An optimized crystal structure of Be3AgSb, computed with GGA-PBE.

a = 4.4018 Å, b = 4.4018 Å, c = 4.4018 Å
α = 90.00°, β = 90.00°, γ = 90.00°
Fractional coordinates of all 5 atoms:
Sb  0.5000  0.5000  0.5000
Ag  0.0000  0.0000  0.0000
Be  0.0000  0.5000  0.0000
Be  0.0000  0.0000  0.5000
Be  0.5000  0.0000  0.0000

Output
* energy relative to the elements, uncorrected: 837 meV per atom
* symmetry: No. 221
* energy above the most stable polymorph in this dataset: 0.000 eV per atom

***

# 5
An optimized crystal structure of CdH2I, computed with GGA-PBE.

a = 4.4595 Å, b = 4.4595 Å, c = 4.4595 Å
α = 60.00°, β = 60.00°, γ = 60.00°
Fractional coordinates of all 4 atoms:
I  0.5000  0.5000  0.5000
H  0.2500  0.2500  0.2500
H  0.7500  0.7500  0.7500
Cd  0.0000  0.0000  0.0000

Output
* symmetry: No. 225
* energy above the most stable polymorph in this dataset: 1.038 eV per atom

***

# 6
An optimized crystal structure of Li2PmCuPd4, computed with GGA-PBE.

a = 4.3297 Å, b = 4.3297 Å, c = 8.4773 Å
α = 75.20°, β = 75.20°, γ = 60.00°
Fractional coordinates of all 8 atoms:
Li  0.7662  0.7662  0.7015
Li  0.2338  0.2338  0.2985
Pm  0.0000  0.0000  0.0000
Cu  0.5000  0.5000  0.5000
Pd  0.3956  0.3956  0.8131
Pd  0.8728  0.8728  0.3817
Pd  0.1272  0.1272  0.6183
Pd  0.6044  0.6044  0.1869
____________
== End of the calculated crystals ==
Surgical Treatment i.e.:
- Myomectomy
- Embolotherapy [1]
Homeopathic Treatment
Homeopathic Treatment of Uterine Fibroid:
Thalspi Bursa Pastoris – For Uterine Fibroids with Prolonged Menses
Thalspi Bursa is one of the top-grade medicines for treating uterine fibroids with prolonged menses. The menses continue for 10-15 days. Menses appear very frequently as well. The next menstrual cycle appears even before recovery from the periods has occurred. Menstrual bleeding is profuse, with the presence of large clots. Violent uterine colic during menses may also arise. Cramping pain in the uterus during menstruation in uterine fibroids cases is also suggestive of use of Thalspi Bursa Pastoris.[2]
Calcarea Carb – For Heavy Periods from Uterine Fibroids
Calcarea Carb is a very useful medicine for treating heavy periods from uterine fibroids. Menses continue for long and may even appear early. Vertigo during menses may arise. Leucorrhea of thick, milky or yellow color is another complaint that may attend.
Belladonna and Sepia Officinalis – For Uterine Fibroids where Menses are Painful
When the menses are painful Belladonna and Sepia Officinalis are well-indicate medicines for uterine fibroids. When there is cramping pain in the uterus during menses, the menses are bright red in colour and profuse at that time belladonna is use. While in case of griping, burning or bearing down pains during menses use Sepia Officinalis. Menses start early and are quite copious. Fainting and chilliness during menses may attend. Sepia Officinalis is also indicate when there is painful intercourse in uterine fibroids.[2]
Ustilago Maydis – For Uterine Fibroids with Dark Menstrual Bleeding
Ustilago Maydis is a highly suitable medicine for uterine fibroids where menstrual bleeding is dark. Clots may also be present in menstrual blood. Uterine bleeding may be stringy in nature.[2]
Sabina Officinalis – For Uterine Fibroids where Clots Pass with Menstrual Blood
In the case of menstrual bleeding with clots in uterine fibroid cases, Sabina Officinalis is a significant medicine. The slightest motion increases menstrual bleeding. Pain from sacrum to pubis is another attending feature. During menses, pain in the uterus may be present that gets better by lying on the back. Uterine pain may extend to the thighs. Other symptoms include foul, acrid, corrosive, yellow leucorrhea.[2]
Fraxinus Americana – Excellent Homeopathic medicine for uterine fibroids with bearing down sensation
Fraxinus Americana is a top-grade medicine for uterine fibroids where indicating feature is a bearing down sensation in the pelvis from uterine fibroid.[2]
Trillium Pendulum and Kali Carbonicum – For Uterine Fibroids with Back Pain during Menses
In uterine fibroid cases with back pain during the menstrual cycle, Trillium Pendulum comes highly recommended. The pain may radiate to the hips from the back during menses. Tight binding of the back and hips provides relief. Menstrual bleeding is bright red and gushing. The slightest movement worsens uterine bleeding. Trillium Pendulum is also use for inter-menstrual bleeding every two weeks. Another attending feature is faintness from uterine bleeding. Kali Carbonicum is select when there is violent back pain during menses. The pain gets better from sitting and pressure. The menstrual flow is also copious.[2]
Erigeron Canadensis – For Frequent Urination in case of Uterine Fibroids
Erigeron Canadensis is a beneficial medicine for treating frequent urination in case of uterine fibroids. In some cases, painful urination may also arise. The attending features are excessive menstrual bleeding which is bright red in colour. Erigeron Canadensis is also indicate for inter-menstrual bleeding from slight exertion.[2]
China Officinalis and Ferrum Met – For Uterine Fibroids with Heavy Bleeding and Anemia
Both China Officinalis and Ferrum Met are effective medicines for treating uterine fibroids with heavy bleeding and anemia.
Among them, China Officinalis works best when there is profuse, dark menstrual bleeding, clots in menstrual blood, exhaustion and anemia. Fainting spells may also arise.
Ferrum Met is best use where the symptoms include pale, watery, heavy and prolonged menses leading to anemia. Menstrual flow get worse by the slightest movement. Lower back pain or abdomen pain during menses may be present.[5]
Diet & Regimen
Do’s …
Load up on fresh fruits and vegetables.
Basically, A recent study found that eating plenty of fruits like apples and tomatoes, and cruciferous vegetables like broccoli and cabbage, could lower the risk of developing fibroids. Additionally, eating healthier choices like organic fruits and vegetables and whole-grain foods could help improve your symptoms.[4]
Keep an eye on your blood pressure.
Researchers have shown a strong link between fibroids also high blood pressure. In detail, Talk to your doctor about how to manage your blood pressure, either with diet, lifestyle, or medication.
Manage your stress level.
While researchers are still examining the impact of stress on fibroids, some studies suggest the two may link. Try relaxation techniques like yoga, massage, also tai chi to help manage your stress. Some women find that alternative therapies like acupuncture can help relieve their period pain, too.[4]
Make yourself comfortable.
If you’re having painful periods because of your fibroids, try lying down and elevating your legs with a pillow. Or lie on your side and bring your knees into your chest to take the pressure off your back.
Talk to your doctor before trying any supplements.
There is some research that suggests supplements like vitamin D could be helpful in lowering your risk for fibroids.
While some alternative medicine practitioners recommend supplements like raspberry leaf tea to support pregnancy and treat issues like PMS but not for fibroids. That’s because the tea can have an estrogen-like effect on the body and make your problem worse. That’s why it’s always important to discuss all medications and supplements — even if they’re natural — with your doctor. They could have side effects you’re not aware of.[4]
Don’ts …
Don’t eat a diet full of processed foods, red meats, and high-fat dairy. Studies show that eating these foods can make your fibroids worse. The same goes for alcohol and caffeine.
Don’t skip your workouts. One study found that women who exercised the most (about 7 hours per week of activities like running, dancing, or walking) had the lowest chance of developing fibroids. Exercise can also help keep your blood pressure down.
Don’t overdo it on the sugar. A study found that a higher risk of fibroids can link to eating a high-sugar diet .
Don’t smoke. Experts believe that smoking can increase your period pain because it reduces the amount of oxygen that gets to your pelvic region.[4]
Frequently Asked Questions
What is Uterine Fibroid?
Uterine Fibroid is the commonest benign tumour of the uterus and also the commonest benign solid tumour in female.
Homeopathic Medicines used by Homeopathic Doctors in treatment of Uterine Fibroid?
- Thalspi Bursa Pastoris
- Calcarea Carb
- Belladonna
- Sepia Officinalis
- Ustilago
- Sabina
What are the main causes Uterine Fibroid?
- Chromosomal abnormality
- Epidermal growth factor, Insulin-like growth factor-1, Transforming growth factor
- Positive family history
- Estrogen and progesterone
What are the symptoms of Uterine Fibroid in women?
- Menorrhagia
- Dysmenorrhea
- Feelings of pressure
- Frequency of micturition
- Urinary retention
- Abdominal distension
- Difficulty in conceiving
- Pregnancy loss
Give the types of Uterine Fibroid?
- Body
- Cervical
- Pseudo cervical fibroid
- DC Dutta’s Textbook of Gynecology (PDF Drive)
- Gynecology by Ten Teachers
- Dewhurst_s_Textbook_of_Obstetrics_and_Gynaecology_7th_ed
- Clinical_Gynecology
- https://www.drhomeo.com/uterine-fibroids/homeopathic-remedies-for-uterine-fibroids-treatment/